Chapter 43: Guarded Return to Valeris

The hum of hover engines reverberated around Ethan as he sat in the back of the lead truck, his gaze fixed on the distant skyline of Valeris City. Beside him, Malek was quiet, his attention on the city growing closer by the minute. The rescued survivors, some still visibly shaken, were huddled in the rear of the truck, while Captain Jarek's guards, positioned in the other hover trucks, kept a vigilant watch over the convoy.

Captain Jarek had immediately offered hover transport and security to ensure the survivors' safe arrival in Valeris. As the truck glided smoothly across the rugged terrain, Ethan allowed himself a moment of reprieve, grateful for the quick journey compared to the rough hike they might've had otherwise.

Ethan's thoughts turned back to what the survivors had told them. Raeth, one of the Black Sun Syndicate's high-ranking officers, had been overseeing a series of experiments on a rare mineral alloy within his secluded facility. According to the survivors, Raeth had been refining the mineral to harness its unusual properties. Most disturbingly, the alloy seemed to have subtle, mind-altering effects. Ethan recalled the haunted looks on the survivors' faces as they'd shared their stories of being under Raeth's influence, the faint horror lingering in their eyes.

As the trucks approached the city gates, Ethan felt a surge of relief. The dusty expanse of Kynara faded into the background, replaced by the familiar energy of Valeris's bustling streets. They passed through the city's entry checkpoint, nodding to the guards who quickly ushered them through, and made their way directly to the Mercenary Guild Hall.

The grand entrance to the guild towered before them, metal doors parting smoothly as they arrived. Ethan, Malek, and the survivors climbed out of the trucks, and Captain Jarek's guards fell in line to escort them inside. Ethan took a deep breath, feeling the weight of their mission settle in as he stepped into the hall's high-ceilinged atrium. A rush of activity filled the air as mercenaries and guild staff bustled about, though many paused to look curiously at the group.

What comes next are materials data, not part of the page:
____________
# 1
For KCeW2O8, a crystal structure in the Materials Project, relaxed with GGA+U gives the theoretical powder XRD pattern in this record (a wavelength of 1.5418 Å).
Kinematic intensities with the Lorentz-polarization factor, no thermal factor.

Atomic structure:
```
data_KCeW2O8
_chemical_formula_sum 'K4 Ce4 W8 O32'
_cell_length_a 10.407
_cell_length_b 10.964
_cell_length_c 7.642
_cell_angle_alpha 90.00
_cell_angle_beta 125.82
_cell_angle_gamma 90.00
_space_group_name_H-M_alt 'C 1 2/m 1'
_space_group_IT_number 12
_space_group_name_Hall '-C 2y'
loop_
_atom_site_label
_atom_site_fract_x
_atom_site_fract_y
_atom_site_fract_z
K1 0.189 0.000 0.028
Ce1 0.000 0.201 0.500
W1 0.000 0.339 0.000
W2 0.205 0.500 0.443
O1 0.017 0.500 0.845
O2 0.047 0.238 0.855
O3 0.073 0.000 0.389
O4 0.167 0.373 0.563
O5 0.220 0.374 0.241
```

Top 6 peaks for 5° ≤ 2θ ≤ 70°, by intensity:
two_theta, d_spacing, I_rel
28.81, 3.099, 100
26.66, 3.344, 66
14.29, 6.199, 54
27.13, 3.287, 36
33.20, 2.698, 31
17.16, 5.168, 31

***

# 2
For Sr3Fe2MoO9, a crystal structure in the Materials Project, relaxed with GGA+U gives the theoretical powder XRD pattern in this record (a wavelength of 1.5418 Å).
Kinematic intensities with the Lorentz-polarization factor, no thermal factor.

Atomic structure:
```
data_Sr3Fe2MoO9
_chemical_formula_sum 'Sr12 Fe8 Mo4 O36'
_cell_length_a 17.834
_cell_length_b 8.009
_cell_length_c 5.630
_cell_angle_alpha 90.00
_cell_angle_beta 108.37
_cell_angle_gamma 90.00
_space_group_name_H-M_alt 'C 1 2/m 1'
_space_group_IT_number 12
_space_group_name_Hall '-C 2y'
loop_
_atom_site_label
_atom_site_fract_x
_atom_site_fract_y
_atom_site_fract_z
Sr1 0.000 0.233 0.000
Sr2 0.158 0.241 0.656
Fe1 0.000 0.000 0.500
Fe2 0.000 0.500 0.500
Fe3 0.165 0.000 0.164
Mo1 0.168 0.500 0.166
O1 0.000 0.256 0.500
O2 0.079 0.000 0.309
O3 0.079 0.500 0.860
O4 0.093 0.000 0.823
O5 0.094 0.500 0.357
O6 0.169 0.257 0.169
O7 0.239 0.500 0.967
O8 0.245 0.000 0.523
```

Top 6 peaks for 5° ≤ 2θ ≤ 70°, by intensity:
two_theta, d_spacing, I_rel
31.68, 2.824, 100
45.52, 1.993, 29
56.50, 1.629, 22
31.79, 2.815, 21
66.16, 1.412, 16
56.37, 1.632, 15

***

# 3
For LuVO2, a crystal structure in the Materials Project, relaxed with GGA+U gives the theoretical powder XRD pattern in this record (a wavelength of 1.5418 Å).
Kinematic intensities with the Lorentz-polarization factor, no thermal factor.

Atomic structure:
```
data_LuVO2
_chemical_formula_sum 'Lu8 V8 O16'
_cell_length_a 6.117
_cell_length_b 6.117
_cell_length_c 11.327
_cell_angle_alpha 90.00
_cell_angle_beta 90.00
_cell_angle_gamma 90.00
_space_group_name_H-M_alt 'I 41/a m d'
_space_group_IT_number 141
loop_
_space_group_symop_operation_xyz
'x,y,z'
'-x,-y,-z'
'-y+1/4,x+3/4,z+1/4'
'y+1/4,-x+3/4,-z+1/4'
'-x+1/2,-y,z+1/2'
'x+1/2,y,-z+1/2'
'y+1/4,-x+1/4,z+3/4'
'-y+1/4,x+1/4,-z+3/4'
'x,-y,-z'
'-x,y,z'
'-y+1/4,-x+1/4,-z+3/4'
'y+1/4,x+1/4,z+3/4'
'-x+1/2,y,-z+1/2'
'x+1/2,-y,z+1/2'
'y+1/4,x+3/4,-z+1/4'
'-y+1/4,-x+3/4,z+1/4'
'x+1/2,y+1/2,z+1/2'
____________

Ethan and Malek were immediately directed toward a more private chamber within the guild by Kael, the guild's secretary. Kael's sharp gaze took in the survivors, and without wasting a second, he guided them through the hall to the meeting room where the branch master awaited.

The guild branch master, a tall, imposing figure with keen eyes and a calm, calculating demeanor stood near the room's holo-display, studying a series of reports. He looked up as they entered, giving them a quick nod.

"Good work," he said, his voice a mix of praise and urgency. "I understand you've returned with important information, as well as survivors."

~~~
For NaSbI4, a cell relaxed with GGA-PBE gives the calculated powder XRD pattern in this record (a wavelength of 1.5418 Å).
Peak positions follow from Bragg's law for the DFT cell and can differ from measured ones.

Crystal structure
```
data_NaSbI4
_space_group_name_H-M_alt 'P 1'
_space_group_IT_number 1
_space_group_name_Hall 'P 1'
_cell_length_a 9.0036
_cell_length_b 9.0036
_cell_length_c 8.0061
_cell_angle_alpha 115.97
_cell_angle_beta 115.97
_cell_angle_gamma 28.43
loop_
_atom_site_label
_atom_site_type_symbol
_atom_site_fract_x
_atom_site_fract_y
_atom_site_fract_z
Na1 Na 0.0000 0.0000 0.0000
Sb1 Sb 0.5000 0.5000 0.5000
I1 I 0.1162 0.1162 0.7633
I2 I 0.3894 0.3894 0.7017
I3 I 0.6106 0.6106 0.2983
I4 I 0.8838 0.8838 0.2367
```

Main lines, low angle first (2θ from 10° to 80°):
d 7.786, 2θ 11.36, I 40.5; d 7.125, 2θ 12.42, I 25.5; d 3.893, 2θ 22.84, I 19.2; d 3.549, 2θ 25.09, I 36.8; d 3.468, 2θ 25.68, I 100.0; d 2.780, 2θ 32.20, I 17.4; d 2.750, 2θ 32.56, I 35.7; d 2.285, 2θ 39.44, I 30.3; d 2.186, 2θ 41.30, I 17.9; d 2.152, 2θ 41.99, I 27.4

For KCo5S8, a cell relaxed with GGA-PBE gives the calculated powder XRD pattern in this record (a wavelength of 1.5418 Å).
Peak positions follow from Bragg's law for the DFT cell and can differ from measured ones.

Crystal structure
```
data_KCo5S8
_space_group_name_H-M_alt 'P 1'
_space_group_IT_number 1
_space_group_name_Hall 'P 1'
_cell_length_a 8.8536
_cell_length_b 8.8536
_cell_length_c 8.1415
_cell_angle_alpha 106.43
_cell_angle_beta 106.43
_cell_angle_gamma 21.93
loop_
_atom_site_label
_atom_site_type_symbol
_atom_site_fract_x
_atom_site_fract_y
_atom_site_fract_z
K1 K 0.0000 0.0000 0.0000
Co1 Co 0.1584 0.1584 0.4720
Co2 Co 0.2024 0.2024 0.8241
Co3 Co 0.4995 0.4995 0.5003
Co4 Co 0.7967 0.7967 0.1764
Co5 Co 0.8406 0.8406 0.5285
S1 S 0.0773 0.0773 0.6338
S2 S 0.2607 0.2607 0.3479
S3 S 0.3224 0.3224 0.0195
S4 S 0.4140 0.4140 0.6669
S5 S 0.5851 0.5851 0.3336
S6 S 0.6768 0.6768 0.9810
S7 S 0.7383 0.7383 0.6526
S8 S 0.9218 0.9218 0.3667
```

Main lines, low angle first (2θ from 10° to 80°):
d 8.323, 2θ 10.63, I 47.8; d 7.796, 2θ 11.35, I 100.0; d 6.741, 2θ 13.13, I 43.5; d 4.210, 2θ 21.10, I 37.1; d 2.579, 2θ 34.79, I 66.6; d 2.503, 2θ 35.88, I 34.4; d 2.091, 2θ 43.27, I 35.7; d 1.800, 2θ 50.72, I 41.9; d 1.684, 2θ 54.49, I 32.1; d 1.674, 2θ 54.86, I 59.2

For SnH4I3N, a cell relaxed with GGA-PBE gives the calculated powder XRD pattern in this record (a wavelength of 1.5418 Å).
Peak positions follow from Bragg's law for the DFT cell and can differ from measured ones.

Crystal structure
```
data_SnH4I3N
_space_group_name_H-M_alt 'P 1'
_space_group_IT_number 1
_space_group_name_Hall 'P 1'
_cell_length_a 10.6612
_cell_length_b 4.7508
_cell_length_c 18.6765
_cell_angle_alpha 90.00
_cell_angle_beta 90.00
_cell_angle_gamma 90.00
loop_
_atom_site_label
_atom_site_type_symbol
_atom_site_fract_x
_atom_site_fract_y
_atom_site_fract_z
Sn1 Sn 0.1488 0.2500 0.0703
Sn2 Sn 0.3512 0.7500 0.5703
~~~

Ethan took a step forward, glancing back briefly at Malek before he spoke. "Yes, sir. The survivors can confirm that Raeth, one of the syndicate's officers, was conducting experiments on a mineral alloy with...unique properties. The alloy has been refined to influence thought patterns, potentially even basic decisions. We believe the syndicate could weaponize it if they gain more resources."

The branch master's expression darkened. "Mind-altering properties... If the syndicate successfully weaponizes that, they'll have an unimaginable advantage. This information is invaluable." He turned to the survivors, his tone gentler. "Thank you for coming forward. We'll ensure you're safe and cared for while we assess this situation."

The survivors nodded, clearly relieved. Their ordeal had taken its toll, and Ethan hoped the guild's protection would allow them to find some peace after all they'd been through.

The branch master motioned to Kael, who immediately approached Ethan and Malek with information tablets in hand. "In light of your efforts, the guild is offering both of you substantial compensation," the branch master said, his gaze direct. "Kael will handle the transfers."

Kael tapped quickly on his tablet, and moments later, their tablets flashed notifications with the credit transfers already in progress. "This includes payment for the intel you've provided, the safe return of the survivors, and, of course, the supply mission," Kael explained. "Well done. This information will certainly bolster our efforts against the syndicate."

Ethan glanced at the screen, taking note of the generous credit increase in his account. It was enough to cover several essential repairs, though he knew he would need more to fully restore his ship.

Malek caught his eye and gave a slight nod. "Not bad for a day's work," he said, a small grin tugging at his lips. "Good luck with whatever comes next." They shook hands, sharing a quiet understanding. They both knew that as solo mercenaries, they'd likely be going their separate ways for now, but they'd cross paths again soon enough.

With Malek's departure, Ethan made his way to the guild's medical room, his shoulder aching from the strain of their skirmish with Raeth's forces. The guild's medical team worked efficiently, treating his injuries with precision and ensuring his shoulder was properly mended. They recommended he avoid any heavy activity for a day or two, which he agreed to without hesitation.

Once his treatment was complete, Ethan left the guild hall and headed into the cool night air of Valeris City. The streets were bustling, the neon signs glowing vibrantly against the darkening sky. The familiar hum of the city settled over him, blending with the sounds of traders, travelers, and mercenaries exchanging tales of their ventures. A sense of accomplishment lingered in his mind, tempered by the fatigue of the day.

Though he'd considered going straight back to his ship, his stomach had other ideas. He made his way to Nara's Nest, the local cantina he'd grown fond of, eager for a hot meal after the grueling mission. The warmth of the cantina and the scent of spices and roasted meats greeted him as he entered. Nara herself gave him a nod from behind the bar, an unspoken acknowledgment of his return.

_What comes next are materials data, not part of the text_
Diffraction record for Ba2LuMgSbO6. The powder diffraction line list is theoretical, not measured: it uses a DFT-relaxed cell (PBE, the Materials Project) and Cu Kα X-rays.
Kinematic intensities with the Lorentz-polarization factor, no thermal factor.

Crystal structure
```
data_Ba2LuMgSbO6
_chemical_formula_sum 'Ba2 Lu1 Mg1 Sb1 O6'
_cell_length_a 6.555
_cell_length_b 6.555
_cell_length_c 6.555
_cell_angle_alpha 124.81
_cell_angle_beta 123.36
_cell_angle_gamma 83.07
_symmetry_space_group_name_H-M 'P 1'
_symmetry_Int_Tables_number 1
_symmetry_space_group_name_Hall 'P 1'
loop_
_atom_site_label
_atom_site_type_symbol
_atom_site_fract_x
_atom_site_fract_y
_atom_site_fract_z
Ba1 Ba 0.193 0.193 0.000
Ba2 Ba 0.807 0.807 0.000
Lu1 Lu 0.500 0.000 0.500
Mg1 Mg 0.500 0.500 0.000
Sb1 Sb 0.000 0.500 0.500
O1 O 0.261 0.761 0.500
O2 O 0.269 0.262 0.532
O3 O 0.269 0.738 0.007
O4 O 0.731 0.262 0.993
O5 O 0.731 0.738 0.468
O6 O 0.739 0.239 0.500
```

Peak list (10 most intense, 10 to 90 degrees two-theta, in order of falling intensity)
2θ 27.42, I = 100; 2θ 41.57, I = 40; 2θ 28.70, I = 36; 2θ 29.41, I = 34; 2θ 50.07, I = 20; 2θ 30.88, I = 19; 2θ 50.96, I = 19; 2θ 43.17, I = 14; 2θ 56.58, I = 13; 2θ 36.63, I = 13


Diffraction record for SrTi7N10. The powder diffraction line list is theoretical, not measured: it uses a DFT-relaxed cell (PBE, the Materials Project) and Cu Kα X-rays.
Kinematic intensities with the Lorentz-polarization factor, no thermal factor.

Crystal structure
```
data_SrTi7N10
_chemical_formula_sum 'Sr2 Ti14 N20'
_cell_length_a 7.378
_cell_length_b 7.392
_cell_length_c 10.959
_cell_angle_alpha 90.00
_cell_angle_beta 102.47
_cell_angle_gamma 90.00
_symmetry_space_group_name_H-M 'P 1'
_symmetry_Int_Tables_number 1
_symmetry_space_group_name_Hall 'P 1'
loop_
_atom_site_label
_atom_site_type_symbol
_atom_site_fract_x
_atom_site_fract_y
_atom_site_fract_z
Sr1 Sr 0.000 0.003 0.000
Sr2 Sr 0.000 0.997 0.500
Ti1 Ti 0.214 0.403 0.960
Ti2 Ti 0.214 0.597 0.460
Ti3 Ti 0.396 0.386 0.273
Ti4 Ti 0.396 0.614 0.773
Ti5 Ti 0.466 0.017 0.912
Ti6 Ti 0.466 0.983 0.412
Ti7 Ti 0.572 0.383 0.576
Ti8 Ti 0.572 0.617 0.076
Ti9 Ti 0.650 0.016 0.210
Ti10 Ti 0.650 0.984 0.710
Ti11 Ti 0.758 0.372 0.876
Ti12 Ti 0.758 0.628 0.376
Ti13 Ti 0.953 0.370 0.188
Ti14 Ti 0.953 0.630 0.688
N1 N 0.167 0.420 0.321
N2 N 0.167 0.580 0.821
N3 N 0.264 0.162 0.927
N4 N 0.264 0.838 0.427
N5 N 0.361 0.494 0.614
N6 N 0.361 0.506 0.114
N7 N 0.444 0.133 0.265
N8 N 0.444 0.867 0.765
N9 N 0.558 0.123 0.561
N10 N 0.558 0.877 0.061
N11 N 0.560 0.494 0.418
N12 N 0.560 0.506 0.918
N13 N 0.686 0.125 0.863
N14 N 0.686 0.875 0.363
N15 N 0.770 0.453 0.711
N16 N 0.770 0.547 0.211
N17 N 0.872 0.136 0.206
N18 N 0.872 0.864 0.706
N19 N 0.976 0.370 0.010
N20 N 0.976 0.630 0.510
```

Peak list (10 most intense, 10 to 90 degrees two-theta, in order of falling intensity)

Ethan ordered a hearty meal and settled into a booth, letting himself relax for the first time since the mission's start. As he ate, he thought back to everything he'd learned. The mineral alloy, Raeth's experiments, and the syndicate's plans all pointed to something larger. Something that would undoubtedly become even more complex as he delved deeper into the mercenary life.

Once his meal was finished, Ethan got up, paid and made his way back to his ship. The quiet interior was a welcome reprieve from the bustling cantina, and he settled into his sleeping quarters with a contented sigh. Exhaustion hit him like a wave, and within moments, he had drifted into a deep, well-deserved rest.